Activity:
Quote the notes further down without altering anything, please.

Given:
~~~
# KGdMo2O8
Computed XRD peak list, CuKα. Input: a crystal structure in the Materials Project, relaxed with PBE+U.
No peak broadening, texture or thermal motion is included.

Most intense lines, 2θ from 10° to 90°, low angle first:
2θ 22.37, I = 46, hkl 1 3 0; 2θ 28.09, I = 100, hkl 1 1 2; 2θ 29.04, I = 39, hkl 0 4 2; 2θ 29.62, I = 51, hkl 1 5 0; 2θ 34.54, I = 12, hkl 2 0 0; 2θ 45.73, I = 37, hkl 2 4 2; 2θ 51.05, I = 18, hkl 2 6 2; 2θ 52.77, I = 18, hkl 1 9 2; 2θ 53.97, I = 17, hkl 1 5 4; 2θ 58.02, I = 12, hkl 3 1 2

Structural model:
Cell: 5.193 18.520 8.226 Å, 90.00 90.00 90.00°
Space group Pbcn (No. 60)
One atom of each set of equivalent atoms:
1 K 0.000 0.230 0.250 x4
2 Gd 0.000 0.006 0.750 x4
3 Mo 0.023 0.399 0.517 x8
4 O 0.102 0.311 0.975 x8
5 O 0.228 0.400 0.340 x8
6 O 0.243 0.407 0.688 x8
7 O 0.248 0.465 0.004 x8

# LiV4O5F7
Computed XRD peak list, CuKα. Input: a crystal structure in the Materials Project, relaxed with PBE+U.
No peak broadening, texture or thermal motion is included.

Most intense lines, 2θ from 10° to 90°, low angle first:
2θ 23.55, I = 100, hkl 0 0 2; 2θ 24.50, I = 49, hkl 1 -1 0; 2θ 33.64, I = 15, hkl 0 2 0; 2θ 39.85, I = 9, hkl 2 1 1; 2θ 41.07, I = 8, hkl -2 1 1; 2θ 48.07, I = 11, hkl 0 0 4; 2θ 48.27, I = 11, hkl 2 2 0; 2θ 50.22, I = 9, hkl 2 -2 0; 2θ 55.31, I = 8, hkl 1 -3 0; 2θ 55.40, I = 11, hkl -2 2 2

Structural model:
Cell: 5.147 5.340 7.583 Å, 86.83 89.47 87.85°
Space group P1 (No. 1)
One atom of each set of equivalent atoms:
1 Li 0.000 0.000 0.000 x1
2 V 0.502 0.922 0.202 x1
3 V 0.519 0.890 0.700 x1
4 V 0.982 0.385 0.697 x1
5 V 0.991 0.433 0.224 x1
6 O 0.225 0.123 0.223 x1
7 O 0.714 0.631 0.740 x1
8 O 0.800 0.736 0.141 x1
9 O 0.805 0.125 0.751 x1
10 O 0.918 0.414 0.445 x1
11 F 0.096 0.402 0.945 x1
12 F 0.206 0.701 0.655 x1
13 F 0.310 0.203 0.647 x1
14 F 0.310 0.615 0.250 x1
15 F 0.377 0.911 0.941 x1
16 F 0.610 0.928 0.450 x1
17 F 0.719 0.223 0.136 x1

# Li2CrP4O12
Computed XRD peak list, CuKα. Input: a crystal structure in the Materials Project, relaxed with PBE+U.
No peak broadening, texture or thermal motion is included.

Most intense lines, 2θ from 10° to 90°, low angle first:
2θ 11.29, I = 100, hkl 1 1 0; 2θ 16.91, I = 41, hkl 1 1 1; 2θ 17.71, I = 15, hkl 0 2 1; 2θ 23.25, I = 17, hkl 1 1 -2; 2θ 23.72, I = 74, hkl 2 2 -1; 2θ 26.06, I = 13, hkl 1 3 1; 2θ 26.32, I = 25, hkl 1 1 2; 2θ 30.62, I = 17, hkl 1 3 -2; 2θ 31.12, I = 31, hkl 2 0 2; 2θ 36.28, I = 13, hkl 1 5 0

Structural model:
Cell: 10.100 12.779 8.215 Å, 90.00 100.91 90.00°
Space group Cc (No. 9)
One atom of each set of equivalent atoms:
1 Li 0.000 0.186 0.000 x4
2 Li 0.229 0.314 0.864 x4
3 Cr 0.331 0.145 0.190 x4
4 P 0.002 0.187 0.506 x4
5 P 0.186 0.326 0.357 x4
6 P 0.209 0.084 0.745 x4
7 P 0.466 0.077 0.615 x4
8 O 0.084 0.419 0.279 x4
9 O 0.093 0.088 0.579 x4
10 O 0.113 0.278 0.500 x4
11 O 0.177 0.161 0.872 x4
12 O 0.179 0.244 0.223 x4
13 O 0.229 0.029 0.289 x4
14 O 0.315 0.374 0.440 x4
15 O 0.339 0.131 0.679 x4
16 O 0.419 0.342 0.842 x4
17 O 0.426 0.278 0.137 x4
18 O 0.442 0.038 0.084 x4
19 O 0.498 0.146 0.479 x4

# VO2F
Computed XRD peak list, CuKα. Input: a crystal structure in the Materials Project, relaxed with PBE+U.
No peak broadening, texture or thermal motion is included.

Most intense lines, 2θ from 10° to 90°, low angle first:
2θ 23.86, I = 100, hkl 1 0 2; 2θ 24.00, I = 98, hkl 0 1 2; 2θ 25.18, I = 96, hkl 1 1 -2; 2θ 34.33, I = 13, hkl 0 1 -4; 2θ 34.40, I = 17, hkl 1 2 0; 2θ 40.56, I = 15, hkl -1 1 3; 2θ 48.85, I = 22, hkl 2 0 4; 2θ 49.13, I = 17, hkl 0 2 4; 2θ 51.70, I = 17, hkl 2 2 -4; 2θ 56.87, I = 22, hkl 1 2 -6

Structural model:
Cell: 5.051 5.227 12.493 Å, 89.74 87.69 63.17°
Space group P-1 (No. 2)
One atom of each set of equivalent atoms:
1 V 0.000 0.000 0.000 x1
2 V 0.000 0.000 0.500 x1
3 V 0.308 0.377 0.336 x2
4 V 0.385 0.266 0.832 x2
5 O 0.074 0.661 0.417 x2
6 O 0.134 0.134 0.392 x2
7 O 0.185 0.201 0.946 x2
8 O 0.269 0.870 0.114 x2
9 O 0.417 0.005 0.749 x2
10 O 0.470 0.486 0.721 x2
11 F 0.066 0.465 0.218 x2
~~~

Worked solution:
# KGdMo2O8
Computed XRD peak list, CuKα. Input: a crystal structure in the Materials Project, relaxed with PBE+U.
No peak broadening, texture or thermal motion is included.

Most intense lines, 2θ from 10° to 90°, low angle first:
2θ 22.37, I = 46, hkl 1 3 0; 2θ 28.09, I = 100, hkl 1 1 2; 2θ 29.04, I = 39, hkl 0 4 2; 2θ 29.62, I = 51, hkl 1 5 0; 2θ 34.54, I = 12, hkl 2 0 0; 2θ 45.73, I = 37, hkl 2 4 2; 2θ 51.05, I = 18, hkl 2 6 2; 2θ 52.77, I = 18, hkl 1 9 2; 2θ 53.97, I = 17, hkl 1 5 4; 2θ 58.02, I = 12, hkl 3 1 2

Structural model:
Cell: 5.193 18.520 8.226 Å, 90.00 90.00 90.00°
Space group Pbcn (No. 60)
One atom of each set of equivalent atoms:
1 K 0.000 0.230 0.250 x4
2 Gd 0.000 0.006 0.750 x4
3 Mo 0.023 0.399 0.517 x8
4 O 0.102 0.311 0.975 x8
5 O 0.228 0.400 0.340 x8
6 O 0.243 0.407 0.688 x8
7 O 0.248 0.465 0.004 x8

# LiV4O5F7
Computed XRD peak list, CuKα. Input: a crystal structure in the Materials Project, relaxed with PBE+U.
No peak broadening, texture or thermal motion is included.

Most intense lines, 2θ from 10° to 90°, low angle first:
2θ 23.55, I = 100, hkl 0 0 2; 2θ 24.50, I = 49, hkl 1 -1 0; 2θ 33.64, I = 15, hkl 0 2 0; 2θ 39.85, I = 9, hkl 2 1 1; 2θ 41.07, I = 8, hkl -2 1 1; 2θ 48.07, I = 11, hkl 0 0 4; 2θ 48.27, I = 11, hkl 2 2 0; 2θ 50.22, I = 9, hkl 2 -2 0; 2θ 55.31, I = 8, hkl 1 -3 0; 2θ 55.40, I = 11, hkl -2 2 2

Structural model:
Cell: 5.147 5.340 7.583 Å, 86.83 89.47 87.85°
Space group P1 (No. 1)
One atom of each set of equivalent atoms:
1 Li 0.000 0.000 0.000 x1
2 V 0.502 0.922 0.202 x1
3 V 0.519 0.890 0.700 x1
4 V 0.982 0.385 0.697 x1
5 V 0.991 0.433 0.224 x1
6 O 0.225 0.123 0.223 x1
7 O 0.714 0.631 0.740 x1
8 O 0.800 0.736 0.141 x1
9 O 0.805 0.125 0.751 x1
10 O 0.918 0.414 0.445 x1
11 F 0.096 0.402 0.945 x1
12 F 0.206 0.701 0.655 x1
13 F 0.310 0.203 0.647 x1
14 F 0.310 0.615 0.250 x1
15 F 0.377 0.911 0.941 x1
16 F 0.610 0.928 0.450 x1
17 F 0.719 0.223 0.136 x1

# Li2CrP4O12
Computed XRD peak list, CuKα. Input: a crystal structure in the Materials Project, relaxed with PBE+U.
No peak broadening, texture or thermal motion is included.

Most intense lines, 2θ from 10° to 90°, low angle first:
2θ 11.29, I = 100, hkl 1 1 0; 2θ 16.91, I = 41, hkl 1 1 1; 2θ 17.71, I = 15, hkl 0 2 1; 2θ 23.25, I = 17, hkl 1 1 -2; 2θ 23.72, I = 74, hkl 2 2 -1; 2θ 26.06, I = 13, hkl 1 3 1; 2θ 26.32, I = 25, hkl 1 1 2; 2θ 30.62, I = 17, hkl 1 3 -2; 2θ 31.12, I = 31, hkl 2 0 2; 2θ 36.28, I = 13, hkl 1 5 0

Structural model:
Cell: 10.100 12.779 8.215 Å, 90.00 100.91 90.00°
Space group Cc (No. 9)
One atom of each set of equivalent atoms:
1 Li 0.000 0.186 0.000 x4
2 Li 0.229 0.314 0.864 x4
3 Cr 0.331 0.145 0.190 x4
4 P 0.002 0.187 0.506 x4
5 P 0.186 0.326 0.357 x4
6 P 0.209 0.084 0.745 x4
7 P 0.466 0.077 0.615 x4
8 O 0.084 0.419 0.279 x4
9 O 0.093 0.088 0.579 x4
10 O 0.113 0.278 0.500 x4
11 O 0.177 0.161 0.872 x4
12 O 0.179 0.244 0.223 x4
13 O 0.229 0.029 0.289 x4
14 O 0.315 0.374 0.440 x4
15 O 0.339 0.131 0.679 x4
16 O 0.419 0.342 0.842 x4
17 O 0.426 0.278 0.137 x4
18 O 0.442 0.038 0.084 x4
19 O 0.498 0.146 0.479 x4

# VO2F
Computed XRD peak list, CuKα. Input: a crystal structure in the Materials Project, relaxed with PBE+U.
No peak broadening, texture or thermal motion is included.

Most intense lines, 2θ from 10° to 90°, low angle first:
2θ 23.86, I = 100, hkl 1 0 2; 2θ 24.00, I = 98, hkl 0 1 2; 2θ 25.18, I = 96, hkl 1 1 -2; 2θ 34.33, I = 13, hkl 0 1 -4; 2θ 34.40, I = 17, hkl 1 2 0; 2θ 40.56, I = 15, hkl -1 1 3; 2θ 48.85, I = 22, hkl 2 0 4; 2θ 49.13, I = 17, hkl 0 2 4; 2θ 51.70, I = 17, hkl 2 2 -4; 2θ 56.87, I = 22, hkl 1 2 -6

Structural model:
Cell: 5.051 5.227 12.493 Å, 89.74 87.69 63.17°
Space group P-1 (No. 2)
One atom of each set of equivalent atoms:
1 V 0.000 0.000 0.000 x1
2 V 0.000 0.000 0.500 x1
3 V 0.308 0.377 0.336 x2
4 V 0.385 0.266 0.832 x2
5 O 0.074 0.661 0.417 x2
6 O 0.134 0.134 0.392 x2
7 O 0.185 0.201 0.946 x2
8 O 0.269 0.870 0.114 x2
9 O 0.417 0.005 0.749 x2
10 O 0.470 0.486 0.721 x2
11 F 0.066 0.465 0.218 x2